Activity:
Write out the whole of the notes further down verbatim, please.

Data:
=====
The following is a simulated powder diffraction line list of CsFe2Bi2O7. It was derived from a structure optimized by DFT (GGA+U), using a wavelength of 1.5418 Å.
Kinematic intensities with the Lorentz-polarization factor, no thermal factor.

Top 10 peaks for 2θ = 15–90°, by angle:
2θ (°)  Rel. int.
21.81  65
24.06  100
29.95  75
30.37  17
38.77  23
43.18  48
48.59  15
49.75  28
51.44  20
53.17  18

Structure:
Lattice parameters (Å, degrees): 9.477 9.477 9.477 36.70 36.70 36.70
Positions (direct):
Cs1 0.000 0.000 0.000
Fe1 0.430 0.430 0.430
Fe2 0.570 0.570 0.570
Bi1 0.216 0.216 0.216
Bi2 0.784 0.784 0.784
O1 0.078 0.492 0.661
O2 0.339 0.508 0.922
O3 0.492 0.661 0.078
O4 0.500 0.500 0.500
O5 0.508 0.922 0.339
O6 0.661 0.078 0.492
O7 0.922 0.339 0.508

~~~~~

Sb5O7F: computed powder diffraction line list (λ = 1.5418 Å (Cu Kα)), based on a structure optimized by DFT (GGA-PBE).
No peak broadening, texture or thermal motion is included.

Structure:
```
52
Lattice="6.7903 0.0000 0.0000 0.0000 12.9278 0.0000 -6.4215 0.0000 11.9769" Properties=species:S:1:pos:R:3 pbc="T T T"
Sb -2.5701 3.0323 5.2100
Sb -5.7808 3.4316 11.1985
Sb 0.6707 3.0109 2.8738
Sb -2.5401 3.4530 8.8623
Sb -1.4742 7.1186 6.9210
Sb 1.7366 12.2730 0.9326
Sb -0.2176 9.6054 4.9887
Sb -3.4284 9.7862 10.9771
Sb 1.8439 7.0930 1.2130
Sb -1.3669 12.2987 7.2014
Sb 1.7356 0.6291 4.7754
Sb -1.4751 5.8348 10.7639
Sb 3.7971 3.1416 0.9997
Sb 0.5863 3.3223 6.9881
Sb -1.3679 0.6547 11.0443
Sb 1.8429 5.8091 5.0558
Sb 2.9088 9.4748 3.1146
Sb -0.3019 9.9169 9.1030
Sb 6.1496 9.4962 0.7784
Sb 2.9388 9.8955 6.7668
O 0.2779 7.9240 0.0910
O -2.9329 11.4677 6.0794
O -2.4601 8.6600 5.9897
O 0.7506 10.7316 0.0013
O -1.5114 3.1748 6.9992
O 1.6994 3.2891 1.0107
O 1.2380 8.3986 2.6775
O -1.9727 10.9930 8.6659
O 0.0934 7.8390 5.8734
O -3.1174 11.5526 11.8618
O -1.7648 1.6705 9.3923
O 1.4460 4.7934 3.4038
O 0.5165 2.2446 5.2898
O -2.6942 4.2193 11.2782
O 3.0630 8.7084 0.6986
O -0.1478 10.6832 6.6870
O -1.0772 8.1344 8.5730
O 2.1335 11.2573 2.5846
O 3.4861 1.3751 0.1150
O 0.2753 5.0887 6.1035
O 2.3415 1.9347 3.3109
O -0.8693 4.5291 9.2993
O -1.3306 9.6387 10.9661
O 1.8801 9.7529 4.9777
O -0.3819 2.1961 11.9756
O 2.8289 4.2677 5.9871
O 3.3016 1.4601 5.8975
O 0.0908 5.0038 11.8859
F 0.0898 0.4587 3.3286
F -3.1210 6.0051 9.3170
F 3.4897 6.9226 2.6598
F 0.2790 12.4690 8.6482
```

The 10 most intense peaks (5 to 70 degrees two-theta), in order of rising 2θ:
13.70 deg, rel. 44.8
14.80 deg, rel. 74.7
25.47 deg, rel. 61.3
26.47 deg, rel. 44.8
27.16 deg, rel. 99.1
29.09 deg, rel. 53.9
29.73 deg, rel. 100.0
33.02 deg, rel. 41.5
33.61 deg, rel. 46.1
45.45 deg, rel. 37.9

***

SbOF: computed powder diffraction line list (λ = 1.5418 Å (Cu Kα)), based on a structure optimized by DFT (GGA-PBE).
No peak broadening, texture or thermal motion is included.

Structure:
```
48
Lattice="5.4916 0.0000 0.0000 0.0000 13.4991 0.0000 0.0000 0.0000 12.5684" Properties=species:S:1:pos:R:3 pbc="T T T"
Sb 1.1542 3.1161 1.2060
Sb 1.1542 3.6335 7.4902
Sb 1.3254 0.2262 10.4962
Sb 1.3254 6.5233 4.2120
Sb 1.4204 6.9758 10.4962
Sb 1.4204 13.2728 4.2120
Sb 1.5916 9.8656 1.2060
Sb 1.5916 10.3830 7.4902
Sb 3.8999 3.1161 5.0782
Sb 3.8999 3.6335 11.3624
Sb 4.0712 0.2262 8.3564
Sb 4.0712 6.5233 2.0722
Sb 4.1662 6.9758 8.3564
Sb 4.1662 13.2728 2.0722
Sb 4.3374 9.8656 5.0782
Sb 4.3374 10.3830 11.3624
O 0.0970 2.7473 6.0385
O 0.0970 4.0022 12.3227
O 0.3415 7.8153 8.9995
O 0.3415 12.4333 2.7153
O 2.4043 1.0658 8.9995
O 2.4043 5.6837 2.7153
O 2.6488 9.4969 6.0385
O 2.6488 10.7517 12.3227
O 2.8427 2.7473 0.2457
O 2.8427 4.0022 6.5299
O 3.0873 7.8153 9.8531
O 3.0873 12.4333 3.5689
O 5.1500 1.0658 9.8531
O 5.1500 5.6837 3.5689
O 5.3946 9.4969 0.2457
O 5.3946 10.7517 6.5299
F 0.4130 1.3557 0.5849
F 0.4130 5.3939 6.8691
F 0.8629 8.1530 3.1233
F 0.8629 12.0956 9.4075
F 1.8829 1.4035 3.1233
F 1.8829 5.3461 9.4075
F 2.3327 8.1052 0.5849
F 2.3327 12.1434 6.8691
F 3.1588 1.3557 5.6993
F 3.1588 5.3939 11.9835
F 3.6087 8.1530 3.1609
F 3.6087 12.0956 9.4451
=====

Written answer:
The following is a simulated powder diffraction line list of CsFe2Bi2O7. It was derived from a structure optimized by DFT (GGA+U), using a wavelength of 1.5418 Å.
Kinematic intensities with the Lorentz-polarization factor, no thermal factor.

Top 10 peaks for 2θ = 15–90°, by angle:
2θ (°)  Rel. int.
21.81  65
24.06  100
29.95  75
30.37  17
38.77  23
43.18  48
48.59  15
49.75  28
51.44  20
53.17  18

Structure:
Lattice parameters (Å, degrees): 9.477 9.477 9.477 36.70 36.70 36.70
Positions (direct):
Cs1 0.000 0.000 0.000
Fe1 0.430 0.430 0.430
Fe2 0.570 0.570 0.570
Bi1 0.216 0.216 0.216
Bi2 0.784 0.784 0.784
O1 0.078 0.492 0.661
O2 0.339 0.508 0.922
O3 0.492 0.661 0.078
O4 0.500 0.500 0.500
O5 0.508 0.922 0.339
O6 0.661 0.078 0.492
O7 0.922 0.339 0.508

~~~~~

Sb5O7F: computed powder diffraction line list (λ = 1.5418 Å (Cu Kα)), based on a structure optimized by DFT (GGA-PBE).
No peak broadening, texture or thermal motion is included.

Structure:
```
52
Lattice="6.7903 0.0000 0.0000 0.0000 12.9278 0.0000 -6.4215 0.0000 11.9769" Properties=species:S:1:pos:R:3 pbc="T T T"
Sb -2.5701 3.0323 5.2100
Sb -5.7808 3.4316 11.1985
Sb 0.6707 3.0109 2.8738
Sb -2.5401 3.4530 8.8623
Sb -1.4742 7.1186 6.9210
Sb 1.7366 12.2730 0.9326
Sb -0.2176 9.6054 4.9887
Sb -3.4284 9.7862 10.9771
Sb 1.8439 7.0930 1.2130
Sb -1.3669 12.2987 7.2014
Sb 1.7356 0.6291 4.7754
Sb -1.4751 5.8348 10.7639
Sb 3.7971 3.1416 0.9997
Sb 0.5863 3.3223 6.9881
Sb -1.3679 0.6547 11.0443
Sb 1.8429 5.8091 5.0558
Sb 2.9088 9.4748 3.1146
Sb -0.3019 9.9169 9.1030
Sb 6.1496 9.4962 0.7784
Sb 2.9388 9.8955 6.7668
O 0.2779 7.9240 0.0910
O -2.9329 11.4677 6.0794
O -2.4601 8.6600 5.9897
O 0.7506 10.7316 0.0013
O -1.5114 3.1748 6.9992
O 1.6994 3.2891 1.0107
O 1.2380 8.3986 2.6775
O -1.9727 10.9930 8.6659
O 0.0934 7.8390 5.8734
O -3.1174 11.5526 11.8618
O -1.7648 1.6705 9.3923
O 1.4460 4.7934 3.4038
O 0.5165 2.2446 5.2898
O -2.6942 4.2193 11.2782
O 3.0630 8.7084 0.6986
O -0.1478 10.6832 6.6870
O -1.0772 8.1344 8.5730
O 2.1335 11.2573 2.5846
O 3.4861 1.3751 0.1150
O 0.2753 5.0887 6.1035
O 2.3415 1.9347 3.3109
O -0.8693 4.5291 9.2993
O -1.3306 9.6387 10.9661
O 1.8801 9.7529 4.9777
O -0.3819 2.1961 11.9756
O 2.8289 4.2677 5.9871
O 3.3016 1.4601 5.8975
O 0.0908 5.0038 11.8859
F 0.0898 0.4587 3.3286
F -3.1210 6.0051 9.3170
F 3.4897 6.9226 2.6598
F 0.2790 12.4690 8.6482
```

The 10 most intense peaks (5 to 70 degrees two-theta), in order of rising 2θ:
13.70 deg, rel. 44.8
14.80 deg, rel. 74.7
25.47 deg, rel. 61.3
26.47 deg, rel. 44.8
27.16 deg, rel. 99.1
29.09 deg, rel. 53.9
29.73 deg, rel. 100.0
33.02 deg, rel. 41.5
33.61 deg, rel. 46.1
45.45 deg, rel. 37.9

***

SbOF: computed powder diffraction line list (λ = 1.5418 Å (Cu Kα)), based on a structure optimized by DFT (GGA-PBE).
No peak broadening, texture or thermal motion is included.

Structure:
```
48
Lattice="5.4916 0.0000 0.0000 0.0000 13.4991 0.0000 0.0000 0.0000 12.5684" Properties=species:S:1:pos:R:3 pbc="T T T"
Sb 1.1542 3.1161 1.2060
Sb 1.1542 3.6335 7.4902
Sb 1.3254 0.2262 10.4962
Sb 1.3254 6.5233 4.2120
Sb 1.4204 6.9758 10.4962
Sb 1.4204 13.2728 4.2120
Sb 1.5916 9.8656 1.2060
Sb 1.5916 10.3830 7.4902
Sb 3.8999 3.1161 5.0782
Sb 3.8999 3.6335 11.3624
Sb 4.0712 0.2262 8.3564
Sb 4.0712 6.5233 2.0722
Sb 4.1662 6.9758 8.3564
Sb 4.1662 13.2728 2.0722
Sb 4.3374 9.8656 5.0782
Sb 4.3374 10.3830 11.3624
O 0.0970 2.7473 6.0385
O 0.0970 4.0022 12.3227
O 0.3415 7.8153 8.9995
O 0.3415 12.4333 2.7153
O 2.4043 1.0658 8.9995
O 2.4043 5.6837 2.7153
O 2.6488 9.4969 6.0385
O 2.6488 10.7517 12.3227
O 2.8427 2.7473 0.2457
O 2.8427 4.0022 6.5299
O 3.0873 7.8153 9.8531
O 3.0873 12.4333 3.5689
O 5.1500 1.0658 9.8531
O 5.1500 5.6837 3.5689
O 5.3946 9.4969 0.2457
O 5.3946 10.7517 6.5299
F 0.4130 1.3557 0.5849
F 0.4130 5.3939 6.8691
F 0.8629 8.1530 3.1233
F 0.8629 12.0956 9.4075
F 1.8829 1.4035 3.1233
F 1.8829 5.3461 9.4075
F 2.3327 8.1052 0.5849
F 2.3327 12.1434 6.8691
F 3.1588 1.3557 5.6993
F 3.1588 5.3939 11.9835
F 3.6087 8.1530 3.1609
F 3.6087 12.0956 9.4451